Diffraction record for BaSrDyBiO6. The powder XRD pattern is calculated, not measured: it uses DFT lattice parameters and positions (GGA-PBE) and a wavelength of 1.5418 Å.

Top 6 peaks for 10 to 80 degrees two-theta, most intense first:
| 2theta | intensity | hkl |
| --- | --- | --- |
| 29.3 | 100 | 2 0 2 |
| 52.0 | 44 | 4 2 2 |
| 42.0 | 27 | 0 0 4 |
| 69.0 | 19 | 6 0 2 |
| 60.9 | 17 | 4 4 0 |
| 20.6 | 12 | 0 0 2 |

Structural model:
```
data_BaSrDyBiO6
_symmetry_space_group_name_H-M 'P 1'
_symmetry_Int_Tables_number 1
_cell_length_a 8.606
_cell_length_b 8.614
_cell_length_c 8.614
_cell_angle_alpha 90.00
_cell_angle_beta 90.00
_cell_angle_gamma 90.00
loop_
_symmetry_equiv_pos_as_xyz
'x,y,z'
loop_
_atom_site_label
_atom_site_type_symbol
_atom_site_fract_x
_atom_site_fract_y
_atom_site_fract_z
Ba1 Ba 0.000 0.000 0.000
Ba2 Ba 0.000 0.000 0.500
Ba3 Ba 0.500 0.000 0.000
Ba4 Ba 0.500 0.500 0.500
Sr1 Sr 0.000 0.500 0.000
Sr2 Sr 0.000 0.500 0.500
Sr3 Sr 0.500 0.000 0.500
Sr4 Sr 0.500 0.500 0.000
Dy1 Dy 0.250 0.253 0.251
Dy2 Dy 0.250 0.747 0.749
Dy3 Dy 0.750 0.253 0.749
Dy4 Dy 0.750 0.747 0.251
Bi1 Bi 0.250 0.253 0.749
Bi2 Bi 0.250 0.747 0.251
Bi3 Bi 0.750 0.253 0.251
Bi4 Bi 0.750 0.747 0.749
O1 O 0.005 0.224 0.723
O2 O 0.005 0.776 0.277
O3 O 0.215 0.286 0.994
O4 O 0.215 0.495 0.708
O5 O 0.215 0.505 0.292
O6 O 0.215 0.714 0.006
O7 O 0.274 0.007 0.778
O8 O 0.274 0.993 0.222
O9 O 0.291 0.217 0.506
O10 O 0.291 0.783 0.494
O11 O 0.493 0.291 0.786
O12 O 0.493 0.709 0.214
O13 O 0.507 0.291 0.214
O14 O 0.507 0.709 0.786
O15 O 0.709 0.217 0.494
O16 O 0.709 0.783 0.506
O17 O 0.726 0.007 0.222
O18 O 0.726 0.993 0.778
O19 O 0.785 0.286 0.006
O20 O 0.785 0.495 0.292
O21 O 0.785 0.505 0.708
O22 O 0.785 0.714 0.994
O23 O 0.995 0.224 0.277
O24 O 0.995 0.776 0.723
```

=====

Dy2Ni2C3N: computed powder diffractogram (Cu Kα, 1.54184 Å), based on a PBE-relaxed structure.
No peak broadening, texture or thermal motion is included.

Structure:
```
8
Lattice="3.499 0.000 0.000 0.000 3.499 0.000 0.000 0.000 7.373" Properties=species:S:1:pos:R:3 pbc="T T T"
Dy 0.000 0.000 0.000
Dy 1.750 1.750 2.493
Ni 0.000 1.750 4.878
Ni 1.750 0.000 4.878
C 0.000 0.000 3.742
C 1.750 1.750 0.109
C 1.750 1.750 6.093
N 0.000 0.000 2.355
```

Peak list (10 most intense, 2θ = 10–90°, by angle)
(1 0 1), 28.23°, I = 100; (1 0 2), 35.37°, I = 70; (1 1 0), 36.31°, I = 25; (0 0 3), 36.56°, I = 45; (1 1 1), 38.38°, I = 65; (1 1 2), 44.08°, I = 52; (2 0 0), 52.29°, I = 38; (2 1 1), 60.48°, I = 26; (2 1 2), 64.72°, I = 25; (2 0 3), 65.49°, I = 32

***

NdGdSi2Mo2C: computed powder diffractogram (Cu Kα, 1.54184 Å), based on a PBE-relaxed structure.
No peak broadening, texture or thermal motion is included.

Structure:
```
14
Lattice="11.212 0.000 0.000 0.000 3.884 0.000 -4.265 0.000 5.901" Properties=species:S:1:pos:R:3 pbc="T T T"
Nd 0.000 0.000 0.000
Nd 5.606 1.942 0.000
Gd 2.193 1.942 2.384
Gd 7.799 0.000 2.384
Si -0.947 1.942 2.192
Si 3.123 0.000 0.186
Si 4.659 0.000 2.192
Si 8.728 1.942 0.186
Mo -1.883 1.942 4.602
Mo -0.198 0.000 3.646
Mo 3.723 0.000 4.602
Mo 5.408 1.942 3.646
C 1.769 0.000 4.097
C 7.374 1.942 4.097
```

Peak list (10 most intense, 2θ = 10–90°, by angle)
(2 0 -2), 24.53°, I = 22; (1 1 0), 24.93°, I = 23; (2 0 1), 31.09°, I = 44; (1 1 1), 32.14°, I = 18; (4 0 -1), 32.92°, I = 25; (3 1 -1), 33.34°, I = 89; (1 1 -2), 34.69°, I = 100; (3 1 0), 37.66°, I = 17; (4 0 -3), 39.28°, I = 30; (0 2 0), 46.78°, I = 26

=====

No. 1
This entry pairs a crystal structure of Cs2SCl6F with its theoretical powder X-ray diffraction pattern. Radiation: Cu Ka. Structure: a cell relaxed with GGA-PBE.
Kinematic intensities with the Lorentz-polarization factor, no thermal factor.

Largest 10 diffraction maxima, sorted by position, 10° ≤ 2θ ≤ 90°:
hkl 2 0 0, d 5.166, 17.17 deg, rel. 24.4
hkl 2 2 0, d 3.653, 24.37 deg, rel. 91.7
hkl 2 2 2, d 2.982, 29.96 deg, rel. 100.0
hkl 4 0 0, d 2.583, 34.73 deg, rel. 77.2
hkl 4 2 0, d 2.310, 38.99 deg, rel. 18.7
hkl 4 2 2, d 2.109, 42.88 deg, rel. 35.7

It remains to set down the block above character by character.

Diffraction record for BaSrDyBiO6. The powder XRD pattern is calculated, not measured: it uses DFT lattice parameters and positions (GGA-PBE) and a wavelength of 1.5418 Å.

Top 6 peaks for 10 to 80 degrees two-theta, most intense first:
| 2theta | intensity | hkl |
| --- | --- | --- |
| 29.3 | 100 | 2 0 2 |
| 52.0 | 44 | 4 2 2 |
| 42.0 | 27 | 0 0 4 |
| 69.0 | 19 | 6 0 2 |
| 60.9 | 17 | 4 4 0 |
| 20.6 | 12 | 0 0 2 |

Structural model:
```
data_BaSrDyBiO6
_symmetry_space_group_name_H-M 'P 1'
_symmetry_Int_Tables_number 1
_cell_length_a 8.606
_cell_length_b 8.614
_cell_length_c 8.614
_cell_angle_alpha 90.00
_cell_angle_beta 90.00
_cell_angle_gamma 90.00
loop_
_symmetry_equiv_pos_as_xyz
'x,y,z'
loop_
_atom_site_label
_atom_site_type_symbol
_atom_site_fract_x
_atom_site_fract_y
_atom_site_fract_z
Ba1 Ba 0.000 0.000 0.000
Ba2 Ba 0.000 0.000 0.500
Ba3 Ba 0.500 0.000 0.000
Ba4 Ba 0.500 0.500 0.500
Sr1 Sr 0.000 0.500 0.000
Sr2 Sr 0.000 0.500 0.500
Sr3 Sr 0.500 0.000 0.500
Sr4 Sr 0.500 0.500 0.000
Dy1 Dy 0.250 0.253 0.251
Dy2 Dy 0.250 0.747 0.749
Dy3 Dy 0.750 0.253 0.749
Dy4 Dy 0.750 0.747 0.251
Bi1 Bi 0.250 0.253 0.749
Bi2 Bi 0.250 0.747 0.251
Bi3 Bi 0.750 0.253 0.251
Bi4 Bi 0.750 0.747 0.749
O1 O 0.005 0.224 0.723
O2 O 0.005 0.776 0.277
O3 O 0.215 0.286 0.994
O4 O 0.215 0.495 0.708
O5 O 0.215 0.505 0.292
O6 O 0.215 0.714 0.006
O7 O 0.274 0.007 0.778
O8 O 0.274 0.993 0.222
O9 O 0.291 0.217 0.506
O10 O 0.291 0.783 0.494
O11 O 0.493 0.291 0.786
O12 O 0.493 0.709 0.214
O13 O 0.507 0.291 0.214
O14 O 0.507 0.709 0.786
O15 O 0.709 0.217 0.494
O16 O 0.709 0.783 0.506
O17 O 0.726 0.007 0.222
O18 O 0.726 0.993 0.778
O19 O 0.785 0.286 0.006
O20 O 0.785 0.495 0.292
O21 O 0.785 0.505 0.708
O22 O 0.785 0.714 0.994
O23 O 0.995 0.224 0.277
O24 O 0.995 0.776 0.723
```

=====

Dy2Ni2C3N: computed powder diffractogram (Cu Kα, 1.54184 Å), based on a PBE-relaxed structure.
No peak broadening, texture or thermal motion is included.

Structure:
```
8
Lattice="3.499 0.000 0.000 0.000 3.499 0.000 0.000 0.000 7.373" Properties=species:S:1:pos:R:3 pbc="T T T"
Dy 0.000 0.000 0.000
Dy 1.750 1.750 2.493
Ni 0.000 1.750 4.878
Ni 1.750 0.000 4.878
C 0.000 0.000 3.742
C 1.750 1.750 0.109
C 1.750 1.750 6.093
N 0.000 0.000 2.355
```

Peak list (10 most intense, 2θ = 10–90°, by angle)
(1 0 1), 28.23°, I = 100; (1 0 2), 35.37°, I = 70; (1 1 0), 36.31°, I = 25; (0 0 3), 36.56°, I = 45; (1 1 1), 38.38°, I = 65; (1 1 2), 44.08°, I = 52; (2 0 0), 52.29°, I = 38; (2 1 1), 60.48°, I = 26; (2 1 2), 64.72°, I = 25; (2 0 3), 65.49°, I = 32

***

NdGdSi2Mo2C: computed powder diffractogram (Cu Kα, 1.54184 Å), based on a PBE-relaxed structure.
No peak broadening, texture or thermal motion is included.

Structure:
```
14
Lattice="11.212 0.000 0.000 0.000 3.884 0.000 -4.265 0.000 5.901" Properties=species:S:1:pos:R:3 pbc="T T T"
Nd 0.000 0.000 0.000
Nd 5.606 1.942 0.000
Gd 2.193 1.942 2.384
Gd 7.799 0.000 2.384
Si -0.947 1.942 2.192
Si 3.123 0.000 0.186
Si 4.659 0.000 2.192
Si 8.728 1.942 0.186
Mo -1.883 1.942 4.602
Mo -0.198 0.000 3.646
Mo 3.723 0.000 4.602
Mo 5.408 1.942 3.646
C 1.769 0.000 4.097
C 7.374 1.942 4.097
```

Peak list (10 most intense, 2θ = 10–90°, by angle)
(2 0 -2), 24.53°, I = 22; (1 1 0), 24.93°, I = 23; (2 0 1), 31.09°, I = 44; (1 1 1), 32.14°, I = 18; (4 0 -1), 32.92°, I = 25; (3 1 -1), 33.34°, I = 89; (1 1 -2), 34.69°, I = 100; (3 1 0), 37.66°, I = 17; (4 0 -3), 39.28°, I = 30; (0 2 0), 46.78°, I = 26

=====

No. 1
This entry pairs a crystal structure of Cs2SCl6F with its theoretical powder X-ray diffraction pattern. Radiation: Cu Ka. Structure: a cell relaxed with GGA-PBE.
Kinematic intensities with the Lorentz-polarization factor, no thermal factor.

Largest 10 diffraction maxima, sorted by position, 10° ≤ 2θ ≤ 90°:
hkl 2 0 0, d 5.166, 17.17 deg, rel. 24.4
hkl 2 2 0, d 3.653, 24.37 deg, rel. 91.7
hkl 2 2 2, d 2.982, 29.96 deg, rel. 100.0
hkl 4 0 0, d 2.583, 34.73 deg, rel. 77.2
hkl 4 2 0, d 2.310, 38.99 deg, rel. 18.7
hkl 4 2 2, d 2.109, 42.88 deg, rel. 35.7